3d Glitching – Part 3

Again, this will go better if you’ve read part 1 and part 2 of this series!

We’re going to combine two techniques here. First, we’ll use the “Sort by Selection” method to order the vertices. Second, instead of using a text editor, we’ll use a spreadsheet to manipulate the data!!

We’ll use Suzanne, once again, as our model. We’ll go into “Edit” mode and  subdivide the mesh a couple times so we have more vertices to work with.

That accomplished, we’ll select a few of the vertices at the top of Suzanne’s head, and, after that, we’ll go to the “Mesh” menu, choose “Sort Elements”, and then sort by “Selection”.


Using the “visualize vertices” addon that we introduced in the last set of notes, we can now see that the vertices we selected are in indices 0 through 48 ( a total of 49).


We then  export the mesh in our usual fashion as an .obj file, change the extension to .txt, and open it in a spreadsheet! I’m using LibreOffice Calc, so I’m given the option of using spaces to separate the fields, this results in the x,y, and z coordinates being placed correctly in their separate columns.

____________
# 1
# Li2CdPd GGA-PBE relaxed
# Magnetic moment ... 0.000 μB per atom
# DFT formation energy ... -0.3943 eV/atom
# Total energy ... -2.88 eV per atom
data_Li2CdPd
_chemical_formula_sum 'Li4 Cd2 Pd2'
_symmetry_space_group_name_H-M 'C 1 2 1'
_symmetry_Int_Tables_number 5
_cell_length_a 6.270
_cell_length_b 6.526
_cell_length_c 4.482
_cell_angle_alpha 90.00
_cell_angle_beta 134.27
_cell_angle_gamma 90.00
loop_
_symmetry_equiv_pos_as_xyz
'x,y,z'
'-x,y,-z'
'x+1/2,y+1/2,z'
'-x+1/2,y+1/2,-z'
loop_
_atom_site_label
_atom_site_type_symbol
_atom_site_fract_x
_atom_site_fract_y
_atom_site_fract_z
_atom_site_occupancy
Li1 Li 0.000 0.000 0.000 1
Li2 Li 0.000 0.249 0.500 1
Cd1 Cd 0.000 0.750 0.500 1
Pd1 Pd 0.000 0.499 0.000 1

# 2
# TlSiRu2 GGA-PBE relaxed
# Magnetic moment ... 0.000 μB per atom
# Total energy ... -6.51 eV per atom
# Formation energy from raw total energies ... 0.072 eV/atom
data_TlSiRu2
_chemical_formula_sum 'Tl2 Si2 Ru4'
_symmetry_space_group_name_H-M 'C 1 m 1'
_symmetry_Int_Tables_number 8
_cell_length_a 7.288
_cell_length_b 3.026
_cell_length_c 6.831
_cell_angle_alpha 90.00
_cell_angle_beta 115.56
_cell_angle_gamma 90.00
loop_
_symmetry_equiv_pos_as_xyz
'x,y,z'
'x,-y,z'
'x+1/2,y+1/2,z'
'x+1/2,-y+1/2,z'
loop_
_atom_site_label
_atom_site_type_symbol
_atom_site_fract_x
_atom_site_fract_y
_atom_site_fract_z
_atom_site_occupancy
Tl1 Tl 0.000 0.000 0.000 1
Si1 Si 0.213 0.000 0.505 1
Ru1 Ru 0.079 0.500 0.683 1
Ru2 Ru 0.345 0.500 0.323 1

# 3
# MnHgBr2 GGA-PBE relaxed
# Magnetic moment ... 0.010 μB per atom
# Total energy ... -3.09 eV per atom
# Formation energy from raw total energies ... 0.115 eV/atom
data_MnHgBr2
_chemical_formula_sum 'Mn4 Hg4 Br8'
_symmetry_space_group_name_H-M 'I -4 2 d'
_symmetry_Int_Tables_number 122
_symmetry_space_group_name_Hall 'I -4 2bw'
_cell_length_a 7.389
_cell_length_b 7.389
_cell_length_c 9.546
_cell_angle_alpha 90.00
_cell_angle_beta 90.00
_cell_angle_gamma 90.00
loop_
_atom_site_label
_atom_site_type_symbol
_atom_site_fract_x
_atom_site_fract_y
_atom_site_fract_z
_atom_site_occupancy
Mn1 Mn 0.000 0.000 0.000 1
Hg1 Hg 0.000 0.000 0.500 1
Br1 Br 0.103 0.250 0.125 1

# 4
# CaTlFe4 GGA-PBE relaxed
# Magnetic moment ... 1.525 μB per atom
# DFT formation energy ... 0.2339 eV/atom
# Total energy ... -6.14 eV per atom
data_CaTlFe4
_chemical_formula_sum 'Ca4 Tl4 Fe16'
_symmetry_space_group_name_H-M 'F -4 3 m'
_symmetry_Int_Tables_number 216
_symmetry_space_group_name_Hall 'F -4 2 3'
_cell_length_a 7.242
_cell_length_b 7.242
_cell_length_c 7.242
_cell_angle_alpha 90.00
_cell_angle_beta 90.00
_cell_angle_gamma 90.00
loop_
_atom_site_label
_atom_site_type_symbol
_atom_site_fract_x
_atom_site_fract_y
_atom_site_fract_z
_atom_site_occupancy
Ca1 Ca 0.000 0.000 0.000 1
Tl1 Tl 0.250 0.250 0.250 1
Fe1 Fe 0.126 0.126 0.626 1

# 5
# Ba4AgPt GGA-PBE relaxed
# Magnetic moment ... 0.000 μB per atom
# DFT formation energy ... -0.3494 eV/atom
# Total energy ... -3.11 eV per atom
data_Ba4AgPt
_chemical_formula_sum 'Ba4 Ag1 Pt1'
____________



We’re now going to do something that would not have been possible using a text editor.  We’ll select the first 49 coordinates in the “C” column.. those represents the “y” values for the vertices, which is the “up” direction. ( A note here.. most 3d programs treat the “y” axis as up, but Blender  uses the “z” axis for up! When exporting as an .obj file from Blender, in the export options, choose “Y Up” and “Z Forward”.)


In this case, sort Column “C” by “Ascending”.



We’ve now “glitched” our file, but we have to take special care when saving it and changing it back into an .obj file. Choose to save as a text “.csv” file. In Calc, you’ll need to check the “Edit filter settings” option. You can also uncheck “Automatic file name extension” options, and then change the file extension from “.csv” to “.obj”.



Be sure to change the field delimiter to “space”:




We’ll now take a look at our glitched file in Meshlab:



Look at that strange regular pattern of  peaks and valleys on top of Suzanne’s head!  What is happening here?

Let’s look at a comparison of the column containing the values of the “y” coordinates before and after we sorted them:


Note that before we did our sort in the spreadsheet, the vertex at index 0  (on line 5 of the spreadsheet due to the header info above it) would be at the very top of Suzanne’s head.. at the highest “y” position. After we sorted the “y” axis in the spreadsheet in ascending order, that 0 index vertex was now at the lowest position on the “y” axis relative to the other vertices we selected.  Each of the subsequent vertices we selected would be at the next slightly higher position, and the last vertex at index 48 will now be at the highest relative position.

Let’s look again at the picture of the selected vertices with their index positions displayed.. this time with a visualization of the distribution of those indices:




Note how the pattern skips, hopscotch fashion, so the next indexed vertex is never immediately “spatially” adjacent in the mesh to the vertices that are just before and after it in the index order.

The “hopscotch” arrangement of the vertices results in the regular “high-low” alternation along the “y” axis that we see saw above. After the sort in the spreadsheet, the vertices reached during the first half of the traverse have all been assigned the lowest “y” values, and the vertices spatially in between them on the mesh, being visited last, have been assigned the highest “y” values. Of course, the order of the indices would have been different if we’d chosen a different method of sorting them back when we were in Blender.

This method of selecting chunks of the 3 columns representing the x, y, and z coordinates, and then sorting them various ways – sometimes ascending, sometimes descending, sometimes sorting one column separately, sometimes sorting more than one column using multiple keys – can produce some interesting results:


There are many other curious things one can do with spreadsheets.. easily cutting and pasting between the columns, applying formulas.. however, sooner or later the limitations of spreadsheets will get in the way. At that point we’ll need to use a real scripting language to manipulate the date.. but that will come in a future post.

Before that, though, we’ll be looking at glitching the texture coordinates of the .obj file.. these control how a 2d image is mapped to the 3d surface of the mesh.. and now you’re ready to move on to the next section!